Português para estrangeiros/Pronúncia



'''
# 1
# Sm6SnTe3As2, relaxed, DFT PBE-GGA
data_Sm6SnTe3As2
_chemical_formula_sum 'Sm12 Sn2 Te6 As4'
_cell_length_a 19.194
_cell_length_b 4.350
_cell_length_c 8.839
_cell_angle_alpha 90.00
_cell_angle_beta 104.29
_cell_angle_gamma 90.00
_symmetry_space_group_name_H-M 'C 1 2/m 1'
_symmetry_Int_Tables_number 12
loop_
_symmetry_equiv_pos_as_xyz
'x,y,z'
'-x,-y,-z'
'-x,y,-z'
'x,-y,z'
'x+1/2,y+1/2,z'
'-x+1/2,-y+1/2,-z'
'-x+1/2,y+1/2,-z'
'x+1/2,-y+1/2,z'
loop_
_atom_site_label
_atom_site_type_symbol
_atom_site_fract_x
_atom_site_fract_y
_atom_site_fract_z
_atom_site_occupancy
Sm1 Sm 0.008 0.000 0.248 1
Sm2 Sm 0.166 0.500 0.104 1
Sm3 Sm 0.174 0.500 0.568 1
Sn1 Sn 0.000 0.500 0.000 1
Te1 Te 0.000 0.500 0.500 1
Te2 Te 0.165 0.000 0.832 1
As1 As 0.168 0.000 0.336 1
# uncorrected formation energy: -1.3837 eV/atom
# density: 7.214 g cm⁻³


# 2
# SmDyNiIr, relaxed, DFT PBE-GGA
data_SmDyNiIr
_chemical_formula_sum 'Sm2 Dy2 Ni2 Ir2'
_cell_length_a 4.106
_cell_length_b 3.912
_cell_length_c 10.706
_cell_angle_alpha 90.00
_cell_angle_beta 90.00
_cell_angle_gamma 90.00
_symmetry_space_group_name_H-M 'A m m 2'
_symmetry_Int_Tables_number 38
loop_
_symmetry_equiv_pos_as_xyz
'x,y,z'
'-x,-y,z'
'-x,y,z'
'x,-y,z'
'x,y+1/2,z+1/2'
'-x,-y+1/2,z+1/2'
'-x,y+1/2,z+1/2'
'x,-y+1/2,z+1/2'
loop_
_atom_site_label
_atom_site_type_symbol
_atom_site_fract_x
_atom_site_fract_y
_atom_site_fract_z
_atom_site_occupancy
Sm1 Sm 0.000 0.000 0.000 1
Dy1 Dy 0.500 0.000 0.284 1
Ni1 Ni 0.500 0.000 0.570 1
Ir1 Ir 0.000 0.000 0.720 1
# energy relative to the elements: -610.4 meV/atom
# density: 10.888 g cm⁻³


# 3
# AgBiTe2, relaxed, DFT PBE-GGA
data_AgBiTe2
_chemical_formula_sum 'Ag4 Bi4 Te8'
_cell_length_a 6.772
_cell_length_b 6.772
_cell_length_c 13.686
_cell_angle_alpha 90.00
_cell_angle_beta 90.00
_cell_angle_gamma 90.00
_symmetry_space_group_name_H-M 'I -4 2 d'
_symmetry_Int_Tables_number 122
_symmetry_space_group_name_Hall 'I -4 2bw'
loop_
_atom_site_label
_atom_site_type_symbol
_atom_site_fract_x
_atom_site_fract_y
_atom_site_fract_z
_atom_site_occupancy
Ag1 Ag 0.000 0.000 0.000 1
Bi1 Bi 0.000 0.000 0.500 1
Te1 Te 0.220 0.250 0.125 1
# uncorrected formation energy: -0.0713 eV/atom
# density: 6.054 g cm⁻³


# 4
# BaAsPbBr2, relaxed, DFT PBE-GGA
data_BaAsPbBr2
_chemical_formula_sum 'Ba1 As1 Pb1 Br2'
_cell_length_a 6.023
_cell_length_b 6.023
_cell_length_c 6.515
_cell_angle_alpha 90.00
_cell_angle_beta 90.00
_cell_angle_gamma 90.00
_symmetry_space_group_name_H-M 'P 4/m m m'
_symmetry_Int_Tables_number 123
_symmetry_space_group_name_Hall '-P 4 2'
loop_
_atom_site_label
_atom_site_type_symbol
_atom_site_fract_x
_atom_site_fract_y
_atom_site_fract_z
_atom_site_occupancy
Ba1 Ba 0.000 0.000 0.000 1
As1 As 0.000 0.000 0.500 1
Pb1 Pb 0.500 0.500 0.500 1
Br1 Br 0.000 0.500 0.000 1
# uncorrected formation energy: -0.3640 eV/atom
# density: 4.070 g cm⁻³
# polymorph energy (0 for the lowest one): 0.383 eV per atom


# 5
# Cs2AlPtCl6, relaxed, DFT PBE-GGA
data_Cs2AlPtCl6
'''

The symbols used for consonants are shown in the following table. Where symbols appear in pairs, the one to the left is voiceless, the one to the right voiced.

Crystal structures from another source follow
=====
Record 1
Computed, not measured: a geometry-optimized HfZr4C4 structure at the PBE level of DFT.

## Properties
The calculation puts the formation energy at -0.78 eV/atom. Its symmetry is No. 87.

Unit cell a=5.778 b=5.778 c=5.778 alpha=99.56 beta=99.56 gamma=131.90
Sites, in units of the cell vectors:
Hf: 0.000 0.000 0.000
Zr: 0.189 0.609 0.798
Zr: 0.391 0.189 0.580
Zr: 0.609 0.811 0.420
Zr: 0.811 0.391 0.202
C: 0.096 0.295 0.391
C: 0.295 0.904 0.198
C: 0.705 0.096 0.802
C: 0.904 0.705 0.609

---

Record 2
Computed, not measured: a geometry-optimized HfZr5C6 structure at the PBE level of DFT.

## Properties
The calculation puts the formation energy at -0.83 eV/atom. Its symmetry is No. 12.

Unit cell a=5.767 b=5.767 c=5.771 alpha=99.62 beta=99.62 gamma=119.95
Sites, in units of the cell vectors:
Hf: 0.000 0.000 0.000
Zr: 0.167 0.833 0.500
Zr: 0.333 0.667 0.000
Zr: 0.500 0.500 0.500
Zr: 0.667 0.333 0.000
Zr: 0.833 0.167 0.500
C: 0.083 0.414 0.249
C: 0.248 0.248 0.752
C: 0.414 0.083 0.249
C: 0.586 0.917 0.751
C: 0.752 0.752 0.248
C: 0.917 0.586 0.751

---

Record 3
Computed, not measured: a geometry-optimized HfZr2C3 structure at the PBE level of DFT.

## Properties
The calculation puts the formation energy at -0.85 eV/atom. Its symmetry is No. 12.

Unit cell a=5.756 b=5.756 c=5.754 alpha=99.58 beta=99.58 gamma=120.01
Sites, in units of the cell vectors:
Hf: 0.167 0.833 0.000
Hf: 0.833 0.167 0.000
Zr: 0.000 0.000 0.500
Zr: 0.333 0.667 0.500
Zr: 0.500 0.500 0.000
Zr: 0.667 0.333 0.500
C: 0.082 0.418 0.753
C: 0.247 0.247 0.247
C: 0.418 0.082 0.753
C: 0.582 0.918 0.247
C: 0.753 0.753 0.753
C: 0.918 0.582 0.247

---

Record 4
Computed, not measured: a geometry-optimized HfZr5C5 structure at the PBE level of DFT.

## Properties
The calculation puts the formation energy at -0.77 eV/atom. Its symmetry is No. 12.

Unit cell a=5.763 b=5.763 c=6.681 alpha=106.80 beta=106.80 gamma=48.20
Sites, in units of the cell vectors:
Hf: 0.000 0.000 0.000
Zr: 0.000 0.000 0.500
Zr: 0.326 0.326 0.672
Zr: 0.330 0.330 0.156
Zr: 0.670 0.670 0.844
Zr: 0.674 0.674 0.328
C: 0.166 0.166 0.334
C: 0.167 0.167 0.833
C: 0.500 0.500 0.000
C: 0.833 0.833 0.167
C: 0.834 0.834 0.666

---

Record 5
Computed, not measured: a geometry-optimized HfZrC3 structure at the PBE level of DFT.

## Properties
The calculation puts the formation energy at 1.55 eV/atom. Its symmetry is No. 221.

Unit cell a=4.168 b=4.168 c=4.168 alpha=90.00 beta=90.00 gamma=90.00
Sites, in units of the cell vectors:
Hf: 0.000 0.000 0.000
Zr: 0.500 0.500 0.500
C: 0.000 0.500 0.500
C: 0.500 0.000 0.500
C: 0.500 0.500 0.000
=====

  Labial Den­tal Alveo­lar Pre-
Velar Velar-labial Guttural
Stop p  b t  d     k  g kʷ gʷ  
Nasal m n   ɲ    
Fricative f  v   s  z ʃ  ʒ ʁ
Liquid   l ɾ ʎ
Glide j w
  • /p/: pai
  • /b/: comboio
  • /t/: tábua
  • /d/: andorinha
  • /k/: caqui (Br.), caça
  • /ɡ/: manga
  • /kʷ/: qual
  • /gʷ/: guarda
  • /m/: molho
  • /n/: nariz
  • /f/: farinha
  • /v/: voz
  • /s/: doçura
  • /z/: casa
  • /ɾ/: marca (Portugal, Angola, São Paulo, southern Brazil), carreira, trator
  • /ʁ/: parque (most Brazilian dialects), errado
  • /ɲ/: nhoque (Br.), manhã (Pt.), close to canyon but pronounced as a single sound
  • /ʃ/: xale, a sh sound, perhaps most times with also a y-like quality
  • /ʒ/: canja, a soft g sound as beige, perhaps most times with also a y-like quality
  • /l/: lição, velarized as in Scotland (that is, with a w-like quality as in RP and GA tell)
  • /ʎ/: navalha, close to million but pronounced as a single sound

The consonant inventory of Portuguese is fairly conservative. The medieval affricates /ts/, /dz/, /tʃ/, /dʒ/ merged with the fricatives /s/, /z/, /ʃ/, /ʒ/, respectively, but not with each other (unlike in most of the rest of the West Iberian group), and there have been no other significant changes to the consonant phonemes since then. However, some notable dialectal variants and allophones have appeared, among which:

  • All post-alveolars are prevalently alveolo-palatal at least in Rio de Janeiro, with just a few variation for the sibilants and affricates, and are likely to have the said pronunciation elsewhere in Brazil, except for speakers of the nordestino and baiano dialects, as well sibilants and affricates in sulista and gaúcho speech. In Portugal and elsewhere in the Portuguese-speaking world, /ɲ/ and /ʎ/ are also alveolo-palatal, but the sibilants may vary in allophony.

  • In most regions of Brazil and some rural Portuguese accents, /t/ and /d/ have the affricate allophones [tʃ ~ tɕ] and [dʒ ~ dʑ], respectively, before /i/, /ĩ/, and in some dialects, /ui/ and [ɪ ~ ɪ̃].

  • At the end of a syllable, the phoneme /l/ is velarized to [ɫ] in most of European Portuguese and vocalized to [u̯] or [ʊ̯] in most of Brazilian Portuguese, though for both of these variants a few isolated dialects present the characteristics of the other side of the Atlantic Ocean, while conservative caipira speech have [ɻ] as allophone of coda /l/ instead. It is also slightly velarized before /i, ĩ/ (including when it is realized as [ɪ ~ ɪ̃] in unstressed syllables in southern Brazil) in most dialects everywhere, and can be slightly velarized in all positions in Portugal and in the state of Rio de Janeiro. It turns into [ʎ] before [j] in Brazil.

  • In all of Brazil and parts of Africa, /ɲ/ is pronounced as a nasal palatal approximant [j̃] between vowels, which nasalizes the preceding vowel, so that, for instance, ninho /ˈniɲu/ (nest) is pronounced [ˈnĩj̃u]. There is evidence that it may be the language's original sound. Actual alveolo-palatal occlusive pronunciation in the said dialects is present in clusters of /n/ and [j], and may also be used to indicate emphasis.

[Crystal structures, as found in the file]
'''
NbTe5Pd: optimized geometry, PBE-GGA.

Computed properties:
Fermi-level density of states in states/eV/f.u.: 2.28
Energy above the lowest structure with this stoichiometry in eV/atom: 0.0000

```
NbTe5Pd
1.0
3.760 0.000 0.000
0.000 13.605 0.000
0.000 0.000 15.856
Te Nb Pd
20 4 4
Direct
0.750 0.858 0.824
0.250 0.643 0.560
0.250 0.588 0.159
0.750 0.143 0.940
0.250 0.151 0.504
0.250 0.647 0.764
0.750 0.088 0.341
0.750 0.412 0.841
0.250 0.857 0.060
0.250 0.349 0.004
0.250 0.358 0.676
0.750 0.353 0.236
0.750 0.849 0.496
0.750 0.651 0.996
0.750 0.642 0.324
0.250 0.142 0.176
0.750 0.147 0.736
0.750 0.357 0.440
0.250 0.853 0.264
0.250 0.912 0.659
0.250 0.253 0.839
0.750 0.747 0.161
0.750 0.753 0.661
0.250 0.247 0.339
0.750 0.255 0.589
0.250 0.745 0.411
0.250 0.755 0.911
0.750 0.245 0.089
```

***

Nb2Te6Pd: optimized geometry, PBE-GGA.

Computed properties:
Fermi-level density of states in states/eV/f.u.: 6.07
Electronic total energy in eV per cell: -92.2

```
Nb2Te6Pd
1.0
-1.286 -3.479 -5.477
4.412 -4.563 1.862
-8.554 -5.917 5.768
Nb Pd Te
4 2 12
Direct
0.500 0.500 0.352
0.000 0.000 0.148
0.500 0.500 0.648
0.000 0.000 0.852
0.500 0.500 0.000
0.000 0.000 0.500
0.197 0.803 0.674
0.782 0.218 0.000
0.803 0.197 0.674
0.303 0.303 0.174
0.282 0.282 0.500
0.218 0.782 0.000
0.197 0.803 0.326
0.697 0.697 0.826
0.303 0.303 0.826
0.718 0.718 0.500
0.697 0.697 0.174
0.803 0.197 0.326
```

***

Nb3TePd: optimized geometry, PBE-GGA.

Computed properties:
Fermi-level density of states in states/eV/f.u.: 9.72
Energy above the lowest structure with this stoichiometry in eV/atom: 0.4406

```
Nb3TePd
1.0
-1.599 -4.661 -0.795
4.539 -1.748 1.121
-1.325 -0.364 4.799
Nb Te Pd
3 1 1
Direct
0.000 0.000 0.500
0.500 0.000 0.000
0.000 0.500 0.000
0.000 0.000 0.000
0.500 0.500 0.500
```

***

NbTe5Pd: optimized geometry, PBE-GGA.

Computed properties:
Fermi-level density of states in states/eV/f.u.: 2.34
Energy above the lowest structure with this stoichiometry in eV/atom: 0.2848

```
NbTe5Pd
1.0
6.994 -0.590 -0.576
1.659 6.820 -0.576
2.434 1.752 8.681
Te Nb Pd
10 2 2
Direct
0.337 0.174 0.438
0.584 0.256 0.975
0.826 0.663 0.062
0.174 0.337 0.938
0.134 0.866 0.750
0.416 0.744 0.025
0.663 0.826 0.562
0.744 0.416 0.525
0.866 0.134 0.250
0.256 0.584 0.475
0.571 0.429 0.250
0.429 0.571 0.750
0.000 0.000 0.500
0.000 0.000 0.000
```

***

Nb3TePd: optimized geometry, PBE-GGA.

Computed properties:
Fermi-level density of states in states/eV/f.u.: 8.46
Energy above the lowest structure with this stoichiometry in eV/atom: 0.0000

```
Nb3TePd
1.0
4.903 0.000 0.000
0.000 4.903 0.000
0.000 0.000 4.903
Pd Nb Te
1 3 1
Direct
0.000 0.000 0.000
0.000 0.000 0.500
0.500 0.000 0.000
0.000 0.500 0.000
0.500 0.500 0.500
```

***

Nb2TlTePd: optimized geometry, PBE-GGA.

Computed properties:
Fermi-level density of states in states/eV/f.u.: 4.60
Electronic total energy in eV per cell: -26.2

```
Nb2TlTePd
1.0
5.125 0.000 0.000
0.000 5.125 0.000
0.000 0.000 4.866
Nb Tl Pd Te
2 1 1 1
Direct
'''

  • In African and Asian Portuguese, most of Portugal, and few parts of Brazil (e.g. Rio de Janeiro state and metropolitan Florianópolis), sibilants, if outside consonant clusters (e.g. fax [faks]), are always postalveolar at the ends of syllables, [ʃ ~ ɕ] before voiceless consonants, and [ʒ ~ ʑ] before voiced consonants (in Judaeo-Spanish, coda /s/ is often postalveolar too). The use of postalveolars is present but inconsistent in most of Northern and Northeastern Brazil e.g. estrelas "stars" [iʃˈtɾelɐs], but for the majority of Brazilian speakers and very few northern dialects of Portugal, only the alveolar sibilants /s/ and /z/ (apico-alveolars in Portugal) will occur in complementary distribution at the ends of syllables, depending on whether the consonant that follows is voiceless or voiced, as in English. Even speakers of dialects which use alveolar-only codas may not follow it consistently, especially in frontier regions and bigger cities where there is influence from more prestigious variants.

  • In rural caipira speech, /ʎ/ is nearly always replaced with /j/, as such mulher (woman) becomes "muié", os olhos (the eyes) becomes "os oio" (but not óleos, oils, which is homophone with olhos in most of Brazil, and always pronounced with a lateral) and there goes, but it is also present in the colloquial speech of a number of sociolects, including some carioca and paulistano speech. Some Galician speakers also present this feature as an influence from yeísmo, a centuries-old phenomenon of Spanish in which /ʎ/ merges with /ʝ/ (the latter phoneme is absent in all Portuguese and Galician dialects), although it is discouraged by the Real Academia Galega.

  • Although there are two rhotic phonemes, they contrast only between vowels. Word-initially and after /n l s/ only /ʁ/ occurs; after other consonants only /ɾ/ occurs. When a word ends in a rhotic and the other starts in a vowel, the phoneme used in the liaison-like sandhi is /ɾ/. No contrast occurs at the end of a syllable, but the actual sound in this position varies greatly depending on the dialect, especially in Brazil.

  • There is also considerable dialectal variation in the actual pronunciation of the rhotic phoneme /ʁ/. The actual "French" uvular pronunciation [χ ʁ ʀ] is common in Portugal, although the older trill [r] is also heard. In Brazil, the total inventory of /ʁ/ allophones is rather long, or up to [r ç x ɣ χ ʁ ʀ ħ h ɦ], the latter eight, specially unvoiced [χ x h], being particularly common, while none of them except archaic [r], that contrast with the flap in all positions, are usual to occur alone in a given dialect. In many Brazilian dialects, /ʁ/ occurs before other consonants (much as /ʀ/ in Judaeo-Spanish), although in other dialects the sound of [ɾ] (as in Portugal, also used by many Brazilian speakers such as most cariocas to indicate emphasis e.g. sem vergonha "shameless, profligate, barefaced" [ˈsẽj̃ ve̞ɾˈgõː.ɲɐ]), or even rarer sounds such as [ɹ], [ɻ] or [ɻ̝̊] can be used instead. Word-finally in Brazil, the rhotic is often dropped entirely when speaking colloquially; when preserved, the same variation occurs as before a consonant.

  • In Portugal, the voiced stops [b d ɡ] are pronounced as the corresponding voiced fricatives [β ð ɣ] between vowels. Voiced fricatives are a much more common feature in Lisbon and surrounding areas than among rural and older speakers of southern and insular Portugal at the other end.